
  • 网络scientific school
  1. 试论科学学派的社会运行

    SCIENCE A tentative exposition of the social performance of scientific schools

  2. 大学创新与科学学派形成

    Innovations in Colleges and Universities and Formation of Scientific Schools

  3. 科学学派的重大发现与优先权

    An important discovery and the problem of priority in science schools

  4. 科学学派的历史形态探析

    Researches on the historical forms of the scientific schools

  5. 第四章从主要方面论述了科学学派的社会功能;

Crystal structures from another source follow.
=====
# 1
An optimized crystal structure of KPH2Cl8. Source: Alexandria, functional GGA-PBE.

Structure (POSCAR):
```
KPH2Cl8
1.0
6.4080 0.0000 0.0000
2.6458 6.5444 0.0000
1.4226 1.3934 8.4065
K P H Cl
1 1 2 8
direct
0.0000 0.0000 0.0000
0.0000 0.0000 0.5000
0.4609 0.7387 0.2513
0.5391 0.2613 0.7487
0.0755 0.1895 0.6349
0.0841 0.1871 0.2819
0.3490 0.7906 0.4990
0.4752 0.2900 0.8973
0.5248 0.7100 0.1027
0.6510 0.2094 0.5010
0.9159 0.8129 0.7181
0.9245 0.8105 0.3651
```

Results
Space group: P-1 (2)
Crystal system: triclinic

# 2
An optimized crystal structure of SrZrCd2. Source: Alexandria, functional GGA-PBE.

Structure (POSCAR):
```
SrZrCd2
1.0
3.3940 0.0000 0.0000
0.0000 3.3940 0.0000
0.0000 0.0000 9.3589
Sr Zr Cd
1 1 2
direct
0.0000 0.0000 0.0000
0.5000 0.5000 0.3066
0.0000 0.0000 0.5116
0.5000 0.5000 0.7238
```

Results
Space group: P4mm (99)
DFT formation energy (eV/atom): 0.086
Crystal system: tetragonal

# 3
An optimized crystal structure of HoTm4Ag2. Source: Alexandria, functional GGA-PBE.

Structure (POSCAR):
```
HoTm4Ag2
1.0
2.4708 1.4265 9.9271
-2.4708 1.4265 9.9271
0.0000 -2.8530 9.9271
Ho Tm Ag
1 4 2
direct
0.0000 0.0000 0.0000
0.2020 0.2020 0.2020
0.3975 0.3975 0.3975
0.6025 0.6025 0.6025
0.7980 0.7980 0.7980
0.1011 0.1011 0.1011
0.8989 0.8989 0.8989
```

Results
Space group: R-3m (166)
DFT formation energy (eV/atom): 0.158
Crystal system: trigonal

# 4
An optimized crystal structure of TbPmThAl. Source: Alexandria, functional GGA-PBE.

Structure (POSCAR):
```
TbPmThAl
1.0
7.6732 0.0000 0.0000
0.0000 7.6732 0.0000
0.0000 0.0000 7.6732
Tb Pm Th Al
4 4 4 4
direct
0.0000 0.0000 0.0000
0.0000 0.5000 0.5000
0.5000 0.0000 0.5000
0.5000 0.5000 0.0000
0.2500 0.2500 0.2500
0.2500 0.7500 0.7500
0.7500 0.2500 0.7500
0.7500 0.7500 0.2500
0.0000 0.0000 0.5000
0.0000 0.5000 0.0000
0.5000 0.0000 0.0000
0.5000 0.5000 0.5000
0.2500 0.2500 0.7500
0.2500 0.7500 0.2500
0.7500 0.2500 0.2500
0.7500 0.7500 0.7500
```

Results
Space group: F-43m (216)
DFT formation energy (eV/atom): 0.009
Crystal system: cubic

# 5
An optimized crystal structure of Ta2MoPb. Source: Alexandria, functional GGA-PBE.

Structure (POSCAR):
```
Ta2MoPb
1.0
2.9234 0.0000 0.0000
0.0000 2.9234 0.0000
0.0000 0.0000 9.1753
Ta Mo Pb
2 1 1
direct
0.0000 0.0000 0.2293
0.0000 0.0000 0.7707
0.5000 0.5000 0.0000
0.5000 0.5000 0.5000
```

Results
Space group: P4/mmm (123)
DFT formation energy (eV/atom): 0.579
Crystal system: tetragonal

# 6
An optimized crystal structure of TiAlSe3. Source: Alexandria, functional GGA-PBE.

Structure (POSCAR):
```
TiAlSe3
1.0
1.8459 -11.1657 0.0000
1.8459 11.1657 0.0000
0.0000 0.0000 6.6215
Ti Al Se
2 2 6
direct
0.1147 0.8853 0.5000
0.8853 0.1147 0.0000
0.3482 0.6518 0.3912
0.6518 0.3482 0.8912
0.1284 0.8716 0.1405
0.2072 0.7928 0.6937
0.4402 0.5598 0.1661
0.5598 0.4402 0.6661
0.7928 0.2072 0.1937
0.8716 0.1284 0.6405
```

Results
E_form (uncorrected) (eV/atom): -0.792
Space group: Cmc2_1 (36)
Polymorph energy (0 for the lowest one) (meV per atom): 0
=====

    The fourth chapter briefly debates the social functions of the scientific school .

  6. 科学学派的本质特征析说

    Differentiating and Analyzing The Characteristics of Scientific School

  7. 论科学学派的潜科学分析

    Science analysis of potential science about scientific school

  8. 科学学派是自然科学发展史上一种普遍而重要的现象。

    In the history of natural science , scientific school is a universal and vital phenomenon .

  9. 科学学派为创新活动提供了最基本的动力和发展平台。

    Innovations always proceed along with scientific schools which provide both essential power and platform for innovative activities .

____________
(1)
5
Lattice="4.6272 0.0000 0.0000 0.0000 4.6272 0.0000 0.0000 0.0000 3.5486" Properties=species:S:1:pos:R:3 comment="SnPOF2 | the Alexandria database | GGA-PBE | optimized geometry" crystal_system=tetragonal m_tot_mub_per_cell=0.0 n_ef_per_ev_atom=0.4633 volume_a3_per_cell=75.98 space_group="P4/mmm (123)" pbc="T T T"
Sn 0.0000 0.0000 0.0000
P 2.3136 2.3136 1.7743
O 2.3136 2.3136 0.0000
F 0.0000 2.3136 1.7743
F 2.3136 0.0000 1.7743

***

(2)
5
Lattice="4.3905 0.0000 0.0000 0.0000 4.3905 0.0000 0.0000 0.0000 4.0876" Properties=species:S:1:pos:R:3 comment="SnPOF2 | the Alexandria database | GGA-PBE | optimized geometry" crystal_system=tetragonal m_tot_mub_per_cell=2.4 n_ef_per_ev_atom=0.7219 volume_a3_per_cell=78.79 space_group="P4/mmm (123)" pbc="T T T"
Sn 0.0000 0.0000 0.0000
P 2.1952 2.1952 2.0438
O 0.0000 0.0000 2.0438
F 0.0000 2.1952 0.0000
F 2.1952 0.0000 0.0000

***

Quick one: most stable of them? (1)

***

(1)
5
Lattice="3.8377 0.0000 0.0000 0.0000 3.8377 0.0000 0.0000 0.0000 4.4000" Properties=species:S:1:pos:R:3 comment="TaP2OF | the Alexandria database | GGA-PBE | optimized geometry" crystal_system=tetragonal m_tot_mub_per_cell=0.0 n_ef_per_ev_atom=0.4454 volume_a3_per_cell=64.80 space_group="P4/mmm (123)" pbc="T T T"
Ta 0.0000 0.0000 0.0000
P 0.0000 1.9188 2.2000
P 1.9188 0.0000 2.2000
O 1.9188 1.9188 0.0000
F 1.9188 1.9188 2.2000

***

(2)
5
Lattice="4.9250 0.0000 0.0000 0.0000 4.9250 0.0000 0.0000 0.0000 3.8756" Properties=species:S:1:pos:R:3 comment="TaP2OF | the Alexandria database | GGA-PBE | optimized geometry" crystal_system=tetragonal m_tot_mub_per_cell=1.7 n_ef_per_ev_atom=0.4952 volume_a3_per_cell=94.00 space_group="P4/mmm (123)" pbc="T T T"
Ta 0.0000 0.0000 0.0000
P 0.0000 2.4625 0.0000
P 2.4625 0.0000 0.0000
O 0.0000 0.0000 1.9378
F 2.4625 2.4625 1.9378

***

Quick one: most stable of them? (2)

***

(1)
5
Lattice="3.8957 0.0000 0.0000 0.0000 3.8957 0.0000 0.0000 0.0000 4.1904" Properties=species:S:1:pos:R:3 comment="TcP2OF | the Alexandria database | GGA-PBE | optimized geometry" crystal_system=tetragonal m_tot_mub_per_cell=0.0 n_ef_per_ev_atom=0.9067 volume_a3_per_cell=63.60 space_group="P4/mmm (123)" pbc="T T T"
Tc 0.0000 0.0000 0.0000
P 0.0000 1.9479 2.0952
P 1.9479 0.0000 2.0952
O 1.9479 1.9479 0.0000
F 1.9479 1.9479 2.0952

***

(2)
5
Lattice="4.6609 0.0000 0.0000 0.0000 4.6609 0.0000 0.0000 0.0000 3.7273" Properties=species:S:1:pos:R:3 comment="TcP2OF | the Alexandria database | GGA-PBE | optimized geometry" crystal_system=tetragonal m_tot_mub_per_cell=0.0 n_ef_per_ev_atom=0.7850 volume_a3_per_cell=80.97 space_group="P4/mmm (123)" pbc="T T T"
Tc 0.0000 0.0000 0.0000
P 0.0000 2.3304 0.0000
P 2.3304 0.0000 0.0000
O 0.0000 0.0000 1.8637
F 2.3304 2.3304 1.8637

***

Quick one: most stable of them? (2)

***

(1)
5
____________

  10. 本论文的主体部分划为五个章节:第一章从历史学的角度对科学学派的历史形态进行初步考察;

    On the basis of the former history studies the first chapter discusses tentatively the historical form of scientific school .

  11. 第二章揭示科学学派内涵的丰富性、多维性,对其本质特征进行分析概括;

    The second chapter discloses the abundant and multiply connotation of the scientific school , moreover , epitomize the features of the scientific school .

  12. 第三章分析科学学派的形成条件和运行机制,以阐明科学与社会的互动关系;

    The third chapter analyses the running mechanism and the conditions which influence the emergence of the scientific school to demonstrate the mutual relationship between science and society .

  13. 伊·米·谢切诺夫(Ceeo.M.1829&1905)是俄国唯物主义的自然科学家、俄罗斯生理学学派和心理学的自然科学学派的奠基者。

    M. Sechenov ( 1829-1905 ) was a materialistic scientist of Russia . He was the founder of the Russian physiology school as well as the Russian natural science school of psychology .

  14. 尽管属于文艺学派的巴黎释义理论的地位至今无可撼动,但是来自自然科学学派的心理学、心理语言学、认知心理学的科研成果对同传研究的推动作用同样不可估量。

    While the Interpretative Theory of Paris School , from Liberal Arts Community remains to be influential , fruits from other sciences like psychology , psycholinguistics and cognitive psychology give a strong impetus to SI research .

  15. 对科学学派的内涵进行分析概括,对其本质特征进行准确把握,有助于相关理论研究的进一步深化,有助于科研管理中的操作界定。

    The analysis and abstraction of the connotation of scientific school as well as the accurate grasp of its essential characteristics will benefit the relevant theoretic research and be helpful to improve the scientific research management .

  16. 科学史学派是中国现代史学史上的一个重要学术派别。

    The scientific history school made an important academic role in Chinese modern historiography .

  17. 科学哲学历史学派与当代新制度学派思想上的一致性;

    The consistency on the historical sects of philosophy of science and modern new systemic sects ;

  18. 这是一次哥白尼式的认识方法上的转变,从而开启了科学哲学历史学派研究的进路,汉森的名字也与观察渗透理论这一名词相联系了起来。

    This is a Copernican change of recognizing method and opens a way for the school of history about science philosophy .

  19. 超然科学法国怪诞学派关于一种哲学或科学概念,致力于研究超然于形而上学的存在物,倾向于模仿现代的科学方法和理论,常用毫无意义的语言来表达思想。

    The French absurdist concept of a philosophy or science dedicated to studying what lies beyond the realm of metaphysics , intended as a parody of the methods and theories of modern science and often expressed in nonsensical language .

  20. 自然科学发展中的学派现象透析

    The Penetrating Analysis of the Phenomenon of School in the Development of Natural Science

  21. 艺术上不同的形式和风格可以自由发展,科学上不同的学派可以自由争论。

    Different forms and styles in art should develop freely and different schools in science should contend freely .

  22. 库恩作为科学哲学历史主义学派的创立者,其典型表现即是以社会历史的维度进入哲学研究。

    As the founder of the history schools of scientific philosophy , The typical performance is the dimension of social history into the philosophy .

  23. 强纲领是埃丁堡科学知识社会学学派提出的研究知识社会成因的社会学形而上学理论。巴里。

    " The Strong Programme " is put forward by the Edinburgh School to study the social cause of knowledge with a metaphysical theory of sociology .

  24. 我们这个时代在人文科学领域,各种学派已经尝试着建构新的学术理念和思维模式。

    In this era , all kinds of schools in the field of humanism science have taken up their work to construct the new scientific idea and thought pattern .

  25. 拉卡托斯作为科学哲学历史主义学派的重要代表人物,他的科学编史学研究纲领的提出对促进科学哲学与科学史的关系的研究具有重大贡献。

    As an important representative of historicism in the philosophy of science , Lakatos ' proposal of Research Programs of the Historiography of Science is a great contribution to the study of the relation between philosophy of science and history of science .

  26. 第五部分联系我国科学界的现状,说明构建我国科学学派的迫切性。

    In the last chapter , under consideration of the reality of our county I expound the necessity of the construction of the scientific school in our country .

  27. 摘要在世界科技发展的历史长河中,几乎所有重大科学的发现和科学理论的提出都与科学学派有关。

    In the long history of science and technology , almost all great scientific discoveries and scientific theory are related to scientific schools .

  28. 科学哲学的发展已经有200多年的历史,在此期间,产生了许多有影响力的科学哲学学派。

    The development of philosophy of science has a history of more than 200 years , during this period , have produced a lot of powerful schools of philosophy of science .

  29. 本文概述了城市发展与城市科学的形成,中国城市化与中国城市科学的发展,中国城市发展的机遇与挑战,城市科学研究的中国学派等问题。

    This article gives a brief view on the problems of the urbanization and the development of the urban studies , the opportunities and challenges faced by Chinese cities , and the " Chinese School of Urban Studies " .